Forum Discussion

bmartinsanchez's avatar
13 years ago

## Someone pasted calculated crystals at this point
-- begin --
The following is a calculated X-ray powder pattern of AgSb3PbS6. It was derived from a crystal structure in the Materials Project, relaxed with GGA-PBE, using a wavelength of 1.5418 Å.

Cell and atoms:
abc: 4.2117 13.0439 19.3508
angles: 90.00 90.00 90.00
Space group Cmc2_1 (No. 36)
Inequivalent atoms, fractional coordinates:
Ag (0.0000, 0.0892, 0.0000) (multiplicity 4)
Sb (0.0000, 0.1177, 0.2359) (multiplicity 4)
Sb (0.0000, 0.3582, 0.9281) (multiplicity 4)
Sb (0.0000, 0.3806, 0.3213) (multiplicity 4)
Pb (0.0000, 0.1654, 0.6101) (multiplicity 4)
S (0.0000, 0.0157, 0.8752) (multiplicity 4)
S (0.0000, 0.1822, 0.1157) (multiplicity 4)
S (0.0000, 0.2409, 0.7694) (multiplicity 4)
S (0.0000, 0.2471, 0.4634) (multiplicity 4)
S (0.0000, 0.4612, 0.0328) (multiplicity 4)
S (0.0000, 0.4894, 0.2115) (multiplicity 4)

Principal peaks in the range 15° ≤ 2θ ≤ 90°, by intensity:
- 30.96 deg, d = 2.888 Å, intensity 100, hkl 1 3 2
- 26.79 deg, d = 3.328 Å, intensity 88, hkl 0 2 5
- 26.18 deg, d = 3.404 Å, intensity 60, hkl 1 1 3
- 32.70 deg, d = 2.739 Å, intensity 39, hkl 1 3 3
- 42.94 deg, d = 2.106 Å, intensity 35, hkl 2 0 0
- 43.71 deg, d = 2.071 Å, intensity 33, hkl 1 1 8
- 24.03 deg, d = 3.703 Å, intensity 30, hkl 1 1 2
- 51.34 deg, d = 1.780 Å, intensity 30, hkl 2 2 5

=====

Structure and simulated X-ray powder pattern of MgFe6Ge6 (DFT lattice parameters and positions (GGA-PBE); Cu Kα X-rays).
Lines closer than 0.1° are merged.

Main lines, by angle (10° ≤ 2θ ≤ 90°):
- d 2.531, 2θ = 35.5°, rel. 514
- d 2.192, 2θ = 41.2°, rel. 371
- d 2.143, 2θ = 42.2°, rel. 711
- d 1.925, 2θ = 47.2°, rel. 1000
- d 1.830, 2θ = 49.8°, rel. 344
- d 1.266, 2θ = 75.1°, rel. 279

Cell and atoms:
```
13
Lattice="5.0625 0.0000 0.0000 -2.5313 4.3843 0.0000 0.0000 0.0000 8.0551" Properties=species:S:1:pos:R:3 pbc="T T T"
Mg 0.0000 0.0000 0.0000
Fe -1.2656 2.1921 2.0086
Fe -1.2656 2.1921 6.0465
Fe 2.5313 0.0000 2.0086
Fe 2.5313 0.0000 6.0465
Fe 1.2656 2.1921 2.0086
Fe 1.2656 2.1921 6.0465
Ge 0.0000 0.0000 2.7484
Ge 0.0000 0.0000 5.3067
Ge 0.0000 2.9228 0.0000
Ge 0.0000 2.9228 4.0275
Ge 2.5313 1.4614 0.0000
Ge 2.5313 1.4614 4.0275
```



Structure and simulated X-ray powder pattern of Ag2PHO4 (DFT lattice parameters and positions (GGA-PBE); Cu Kα X-rays).
Lines closer than 0.1° are merged.

Main lines, by angle (10° ≤ 2θ ≤ 90°):
- d 5.441, 2θ = 16.3°, rel. 319
- d 3.030, 2θ = 29.5°, rel. 355
- d 2.969, 2θ = 30.1°, rel. 1000
- d 2.647, 2θ = 33.9°, rel. 210
- d 2.584, 2θ = 34.7°, rel. 504
- d 1.841, 2θ = 49.5°, rel. 255

Cell and atoms:
```
24
Lattice="6.2826 0.0000 0.0000 -3.1413 5.4409 0.0000 0.0000 0.0000 9.0898" Properties=species:S:1:pos:R:3 pbc="T T T"
Ag 0.7170 0.4139 0.0000
Ag 0.0000 2.2004 6.0599
Ag -1.2357 4.3407 3.0299
Ag 1.2357 4.3407 0.0000
Ag 5.5656 0.4139 3.0299
Ag 3.1413 4.6130 6.0599
P 3.1413 0.1384 6.0599
P 1.6905 2.6513 3.0299
P 4.5921 2.6513 0.0000
H 3.1413 1.5289 1.5150
H 2.8947 1.9560 7.5749
H 3.3879 1.9560 4.5449
O -0.4148 2.2072 8.3289
O -1.4373 3.9781 0.7609
-- stop --

Where Can I download remote agent R3

Where Can I download remote agent R3 for BE 2010, on the iso file that I download from, the folder that contains the agent  RAWSx64 for install (upgrade) don't work. When I try to install from local I have this log:



Symantec Backup Exec Remote Agent (TM) 13 Installation Log

10-24-2011,13:23:31 : EnumProcesses Counts: 43
10-24-2011,13:23:31 : Windows Operating System Version: 6.1
10-24-2011,13:23:31 : GetProductInfo returned success. Checking for CORE OS values.
10-24-2011,13:23:33 : Executing managed _Setup:
10-24-2011,13:23:33 : C:\Users\admin_bmartin\Desktop\RAWSX64\install\_Setup.exe
10-24-2011,13:23:33 : Loading XML from:
10-24-2011,13:23:33 : C:\Users\admin_bmartin\Desktop\RAWSX64\install\IFProducts.xml
10-24-2011,13:23:33 : ArgsDataParser::InitDictionary
10-24-2011,13:23:33 : AgentSeqDlgs::RawsDlgSequence
10-24-2011,13:23:33 : Set RAWS Media path: C:\Users\admin_bmartin\Desktop\RAWSX64\install\media\
10-24-2011,13:23:33 : RawsDlgSequence::CheckInstMode
10-24-2011,13:23:34 : BEOperations::BE_GetInstalledProdCodeVersion()
10-24-2011,13:23:34 : Found 13.0.4164 RAWS AMD64 Product.
10-24-2011,13:23:34 : RawsDlgSequence::CheckUpgrade
10-24-2011,13:23:34 : BEOperations::BE_GetInstalledProdCodeVersion()
10-24-2011,13:23:34 : Found 13.0.4164 RAWS AMD64 Product.
10-24-2011,13:23:34 : Terminal Services enabled.
10-24-2011,13:23:34 : Terminal Services server has been set to Install mode.
10-24-2011,13:23:34 : Launching UI Install
10-24-2011,13:23:34 : Running in Upgrade mode
10-24-2011,13:23:34 : AgentSeqDlgs::ADlgWelcome
10-24-2011,13:23:34 : AgentSeqDlgs::ADlgInstallType
10-24-2011,13:23:34 : RawsDlgSequence::CheckInstalledProducts
10-24-2011,13:23:34 : BEOperations::BE_GetInstalledProdCodeVersion()
10-24-2011,13:23:34 : BEOperations::BE_GetInstalledProdCodeVersion()
10-24-2011,13:23:34 : AgentSeqDlgs::DlgChooseCustom
10-24-2011,13:23:34 : AgentSeqDlgs::ADlgPublishRemoteSrv
10-24-2011,13:23:34 : AgentSeqDlgs::AdlgInstallComplete
10-24-2011,13:23:34 : AgentSeqDlgs::Misc_BE_CommonOps
10-24-2011,13:23:34 : Se detectó una instalación anterior de la versión 13.0.4164 de Symantec Backup Exec Remote Agent for Windows Systems en el equipo local. Se actualizará Symantec Backup Exec Remote Agent for Windows Systems con la versión 13.0.5204. Después de la actualización, la instalación anterior de Remote Agent no estará disponible. Haga clic en Siguiente para continuar.
10-24-2011,13:23:42 : Local Install Agent
10-24-2011,13:23:45 : AgentSeqDlgs::ReadAdvertiseListKey
10-24-2011,13:23:48 : AgentSeqDlgs::ReadAdvertiseListKey
10-24-2011,13:23:48 : ;
10-24-2011,13:23:49 : AgentSeqDlgs::AgentInstaller
10-24-2011,13:23:49 : Starting Install
10-24-2011,13:23:49 : In GetVMWareGuest().
10-24-2011,13:23:49 : Found VMWare Tools Installed.
10-24-2011,13:23:49 : RAWS MSI Command Line: EXE_ENVOKED=1 ALLUSERS=1 REBOOT=ReallySuppress INSTALLDIR="C:\Program Files\Symantec\Backup Exec\RAWS" INSTALLLEVEL=100 ADDLOCAL=VFF,VSSPROV,RANT64 TRANSFORMS="C:\ProgramData\Symantec\Backup Exec\{2E214FDB-1B99-4BF3-BEE4-43B82EB1D6AE}\1034.MST" RAWSADVRTISENAMELIST=; ENABLEADVRT=1 PATCH="C:\Users\admin_bmartin\Desktop\RAWSX64\Updates\RAWSx645204RSP1.msp;" VMWAREGUEST = 1 INSTALLUIMODE=1
10-24-2011,13:23:49 : Running Upgrade Mode
10-24-2011,13:23:49 : AgentInstaller::Install_Product_Thread
10-24-2011,13:23:49 : BEOperations::BE_GetInstalledProdCodeVersion()
10-24-2011,13:23:49 : Found 13.0.4164 RAWS AMD64 Product.
10-24-2011,13:23:49 : BEOps::BE_PrepareCachedRawsMSIForUpgrade
10-24-2011,13:23:49 : Updated RAWS cache for PDVFS functionality
10-24-2011,13:23:50 : Updated malta RAWS X64 cache MSI
10-24-2011,13:23:50 : msiexec /i {FE2F6A2C-196E-4210-9C04-2B1BC21F07EF} REMOVE=VSS /qn REBOOT=ReallySuppress
10-24-2011,13:23:51 : Launching MSI: C:\Users\admin_bmartin\Desktop\RAWSX64\install\media\Symantec Backup Exec Remote Agent for Windows Systems.msi
10-24-2011,13:23:51 : Discovered Total Actions: 0
10-24-2011,13:23:51 : The return code from the MSI is: 1620
10-24-2011,13:23:51 : AgentSeqDlgs::PostInstallActions
10-24-2011,13:23:51 : Cleaning up the symc status key
10-24-2011,13:23:51 : The return value for Symantec Backup Exec Remote Agent for Windows Systems returned error code: 1620
10-24-2011,13:23:51 : Clean up Symantec installer keys.
10-24-2011,13:23:57 : AgentSeqDlgs::Misc_BE_CommonOps
10-24-2011,13:23:57 : Dialog Sequence Returning errorlevel 1620
10-24-2011,13:23:57 : The Installation Failed!
10-24-2011,13:23:58 : The return code is: 1620
10-24-2011,13:23:58 : ERROR: Installation failed with error 1620. GetLastError = :0

  • Here you have the official link for download:


4 Replies

  • You cannot download the remote agent on it's own you have to download the complete ISO to get it and either install a media server and then use the folder on the media server, or extract the folder from the ISO itself.


  • Here you have the official link for download: